Important information on insurance for all persons flying @ AMSA venues
All persons wishing to fly must sign in and out on the 'attendance register' to be covered by AMSA insurance.
Normally participants will be members of Indoor Aviation and covered under the insurance arranged through the Australian Men’s Shed Association.
However the obligation to sign in and out applies to everyone, including those persons who are already AMSA men's shed members and those who may have a 'Men's Shed' membership which is not directly insured by the AMSA insurance broker Interrisk.
In case of any person who does not have Men's Shed membership status and is flying as a hosted "guest" these persons will have interim insurance cover and be fully covered for a total of three occasions only.
Thereafter, if they wish to fly at an AMSA indoor aviation venue, they must become members.
Normally participants will be members of Indoor Aviation and covered under the insurance arranged through the Australian Men’s Shed Association.
However the obligation to sign in and out applies to everyone, including those persons who are already AMSA men's shed members and those who may have a 'Men's Shed' membership which is not directly insured by the AMSA insurance broker Interrisk.
In case of any person who does not have Men's Shed membership status and is flying as a hosted "guest" these persons will have interim insurance cover and be fully covered for a total of three occasions only.
Thereafter, if they wish to fly at an AMSA indoor aviation venue, they must become members.
The low cost insurance is a very attractive benefit of the AMSA Indoor Aviation group as many household and personal insurance policies exclude activities of this kind.
The AMSA carried out a formal risk assessment in order to set the rates and conditions of the insurance cover and those conditions govern the policy.
Coverage is for indoor flying only and only at AMSA Indoor Aviation events.
For example you would not be covered if you came to Waverley and made personal arrangements to fly on a non-scheduled indoor flight day, or when you fly at another indoor venue even if you are a member of Indoor Aviation. Additionally you would not be covered if you took your model outside the Waverley stadium to fly (even on a scheduled flying day); all outdoor model aircraft flying activities are under the authority of CASA and the MAAA.
In the event of an incident that might result in a claim, the President or Secretary should be contacted in the first instance, either in person on the day or at the contacts on the first page.
The AMSA carried out a formal risk assessment in order to set the rates and conditions of the insurance cover and those conditions govern the policy.
Between two parts of the page: materials data
~~~
Record 1
First-principles (GGA-PBE) data for a relaxed LiMg14W crystal, as listed in the Materials Project database.

Calculated values
**Energy above the most stable polymorph in this dataset**: 0 meV/atom
**Crystal system**: hexagonal
**SG**: P-6m2

Cell: 6.2993 6.2993 9.9532 Å, 90.00 90.00 120.00°
With the nearest neighbours (Å) after each atom.
Element x y z (fractional)
1 Li 0.0000 0.0000 0.0000  12 Mg 3.10-3.15
2 Mg 0.0010 0.5005 0.5000  10 Mg 3.04-3.16, 2 W 3.15
3 Mg 0.0029 0.5015 0.0000  10 Mg 3.09-3.18, 2 Li 3.15
4 Mg 0.1597 0.3195 0.2574  1 W 2.98, 10 Mg 3.02-3.28, 1 Li 3.10
5 Mg 0.1597 0.3195 0.7426  1 W 2.98, 10 Mg 3.02-3.28, 1 Li 3.10
6 Mg 0.1597 0.8403 0.2574  1 W 2.98, 10 Mg 3.02-3.28, 1 Li 3.10
7 Mg 0.1597 0.8403 0.7426  1 W 2.98, 10 Mg 3.02-3.28, 1 Li 3.10
8 Mg 0.4985 0.5015 0.0000  10 Mg 3.09-3.18, 2 Li 3.15
9 Mg 0.4995 0.5005 0.5000  10 Mg 3.04-3.16, 2 W 3.15
10 Mg 0.4985 0.9971 0.0000  10 Mg 3.09-3.18, 2 Li 3.15
11 Mg 0.4995 0.9990 0.5000  10 Mg 3.04-3.16, 2 W 3.15
12 Mg 0.6667 0.3333 0.2500  12 Mg 3.09-3.15
13 Mg 0.6667 0.3333 0.7500  12 Mg 3.09-3.15
14 Mg 0.6805 0.8403 0.2574  1 W 2.98, 10 Mg 3.02-3.28, 1 Li 3.10
15 Mg 0.6805 0.8403 0.7426  1 W 2.98, 10 Mg 3.02-3.28, 1 Li 3.10
16 W 0.0000 0.0000 0.5000  12 Mg 2.98-3.15



Record 2
First-principles (GGA-PBE) data for a relaxed Sm3Sn13Ir4 crystal, as listed in the Materials Project database.

Calculated values
**Energy**: -5.575 eV/atom
**Crystal system**: cubic
**SG**: Pm-3n

Cell: 9.8042 9.8042 9.8042 Å, 90.00 90.00 90.00°
With the nearest neighbours (Å) after each atom.
Element x y z (fractional)
1 Sm 0.0000 0.2500 0.5000  12 Sn 3.44-3.46, 4 Ir 3.47
2 Sm 0.0000 0.7500 0.5000  12 Sn 3.44-3.46, 4 Ir 3.47
3 Sm 0.2500 0.5000 0.0000  12 Sn 3.44-3.46, 4 Ir 3.47
4 Sm 0.5000 0.0000 0.2500  12 Sn 3.44-3.46, 4 Ir 3.47
5 Sm 0.5000 0.0000 0.7500  12 Sn 3.44-3.46, 4 Ir 3.47
6 Sm 0.7500 0.5000 0.0000  12 Sn 3.44-3.46, 4 Ir 3.47
7 Sn 0.0000 0.0000 0.0000  12 Sn 3.35
8 Sn 0.0000 0.3060 0.1520  2 Ir 2.69, 1 Sn 2.98
9 Sn 0.0000 0.3060 0.8480  2 Ir 2.69, 1 Sn 2.98
10 Sn 0.0000 0.6940 0.1520  2 Ir 2.69, 1 Sn 2.98
11 Sn 0.0000 0.6940 0.8480  2 Ir 2.69, 1 Sn 2.98
12 Sn 0.1520 0.0000 0.3060  2 Ir 2.69, 1 Sn 2.98
13 Sn 0.1520 0.0000 0.6940  2 Ir 2.69, 1 Sn 2.98
14 Sn 0.1940 0.5000 0.3480  2 Ir 2.69, 1 Sn 2.98
15 Sn 0.1940 0.5000 0.6520  2 Ir 2.69, 1 Sn 2.98
16 Sn 0.3060 0.1520 0.0000  2 Ir 2.69, 1 Sn 2.98
17 Sn 0.3060 0.8480 0.0000  2 Ir 2.69, 1 Sn 2.98
18 Sn 0.3480 0.1940 0.5000  2 Ir 2.69, 1 Sn 2.98
19 Sn 0.3480 0.8060 0.5000  2 Ir 2.69, 1 Sn 2.98
20 Sn 0.5000 0.3480 0.1940  2 Ir 2.69, 1 Sn 2.98
21 Sn 0.5000 0.3480 0.8060  2 Ir 2.69, 1 Sn 2.98
22 Sn 0.5000 0.5000 0.5000  12 Sn 3.35
23 Sn 0.5000 0.6520 0.1940  2 Ir 2.69, 1 Sn 2.98
24 Sn 0.5000 0.6520 0.8060  2 Ir 2.69, 1 Sn 2.98
25 Sn 0.6520 0.1940 0.5000  2 Ir 2.69, 1 Sn 2.98
26 Sn 0.6520 0.8060 0.5000  2 Ir 2.69, 1 Sn 2.98
27 Sn 0.6940 0.1520 0.0000  2 Ir 2.69, 1 Sn 2.98
28 Sn 0.6940 0.8480 0.0000  2 Ir 2.69, 1 Sn 2.98
~~~
Coverage is for indoor flying only and only at AMSA Indoor Aviation events.
For example you would not be covered if you came to Waverley and made personal arrangements to fly on a non-scheduled indoor flight day, or when you fly at another indoor venue even if you are a member of Indoor Aviation. Additionally you would not be covered if you took your model outside the Waverley stadium to fly (even on a scheduled flying day); all outdoor model aircraft flying activities are under the authority of CASA and the MAAA.
In the event of an incident that might result in a claim, the President or Secretary should be contacted in the first instance, either in person on the day or at the contacts on the first page.